I’ve spent the last couple of days combing through all the fuzz and digesting Wednesday’s iPad announcement. I probably listened to 8 hours of punditry on top of watching the recording of the event itself. I’ve read Mossberg, Pogue, Doctorow and the like to see what their vision of the iPad looked like. My last post questioned whether or not Steve Jobs had another homer in his well-worn bat and after all this pondering I think I’ve come to a moment of clarity concerning the iPad.
This is rev 1 of a true game-changer! The iPad is the device I think Mr. Jobs has always wanted to make. It just took until now for the technology to catch up to his vision of a ubiquitous computing appliance. Something powerful, something easy, something beautiful, something fun. A computing device that is as comfortable on a coffee table as it is on a boardroom table. A device that does 90% of what anyone would want it to do and as easy for my grandmother to use as it is for me. In short, this is a device that will appeal to everyone. People who would never consider sitting on a sofa with a laptop, people that can’t bear dragging out a computer while sitting in coach on an airplane, people that skip a step while making a new recipe because they didn’t want to stop and look up an ingredient list, people that prefer pen and paper to take notes in class because a laptop is too bulky, too distracting or just too inconvenient, people who are intimidated by computers in general plus people like me. You know, geeks. I can’t think of anyone who would not want an iPad, especially at $499!
For us geeks the realization of a truly functional device like the fictitious ones wielded by the Enterprise crew is almost a dream come true. We would buy one just to fulfill our fantasies. For Apple fans, all the iPad needs is the logo. Done deal. For everyone else, the iPad’s potential for practical use and unparalleled convenience will eventually win them over. It may take a while, but sooner or later applications will be written that pull everyone’s particular chain. The possibilities are truly limitless.
For all these reasons I predict iPad sales will make even the astronomical iPhone numbers pale by comparison. Some day we will look back on January 27th, 2010 as the day everyone became part of the technological revolution.
And Now, A Real iPad Prediction...
What comes next are data records, not part of the piece
<<<
(1)
DFT (ωB97M-V/def2-TZVPD) results for a structure of composition C23H25N15O3Ti in a non-equilibrium geometry.

* HOMO level (alpha / beta): -0.543 / -0.543 hartree
* gap between HOMO and LUMO (alpha / beta): 8.0 / 8.0 eV
* energy relative to the best compared isomer or geometry (same formula, charge and spin): 55.3 kJ/mol
* DFT total energy: -2787.45066 Ha

Geometry as ORCA input:
```
! wB97M-V def2-TZVPD RIJCOSX def2/J DEFGRID3
* xyz 2 1
Ti -0.3529 -0.2621 0.2029
O -0.3566 -3.6324 2.5610
C 0.0109 -2.8166 1.7993
N -0.5570 -1.5586 1.6705
C -1.3808 -1.1892 2.8147
C -1.3523 0.2745 2.9616
C -1.8733 0.9106 4.1107
C -2.0120 2.2892 4.0698
C -1.6292 2.9694 2.9119
C -1.0601 2.2770 1.8774
N -0.9383 0.9309 1.9188
C 1.1247 -2.9545 0.8358
C 2.0757 -3.9541 0.9004
C 3.0851 -3.9477 -0.0336
C 3.1428 -2.9310 -0.9284
C 2.1688 -1.8863 -0.8968
N 1.1772 -1.9472 -0.0700
H -2.3523 -1.6279 2.7307
H -0.9244 -1.5961 3.7472
H -2.0709 0.3656 5.0168
H -2.3894 2.8137 4.9594
H -1.6392 4.0294 2.8071
H -0.5670 2.8058 1.0692
H 1.9644 -4.6931 1.6495
H 3.8025 -4.7847 -0.0826
H 3.9365 -2.9049 -1.6771
H 2.1795 -1.0228 -1.5282
N 0.5966 0.9436 -4.3934
C 1.5096 -0.0614 -4.4728
N 1.0808 -1.1335 -3.8350
C -0.1471 -0.7499 -3.3764
N -0.4591 0.4843 -3.6928
C -0.9993 -1.8033 -2.6758
C -1.4869 -2.8744 -3.4089
N -2.4510 -3.6718 -2.9079
C -2.8329 -3.4510 -1.6326
C -2.1992 -2.4992 -0.8782
N -1.2707 -1.6839 -1.3957
H 0.6101 1.8817 -4.7778
H 2.4427 0.0920 -4.9701
H -1.1297 -3.0691 -4.4160
H -3.6726 -4.0420 -1.2812
H -2.3404 -2.3367 0.1765
C 3.8982 3.1691 1.7088
C 2.7933 2.1808 1.5925
N 2.2168 1.6853 2.6186
O 2.6863 2.0441 3.8581
C 2.2195 1.8878 0.2329
C 2.7021 2.5538 -1.0281
N 1.3279 0.9892 0.1549
O 0.7481 0.6678 -1.0450
H 3.9773 3.8463 0.9032
H 4.8929 2.7405 1.8209
H 3.6361 3.7654 2.5848
H 3.5955 2.4131 3.8330
H 3.7725 2.3054 -1.1810
H 2.6099 3.6694 -0.8644
H 2.0236 2.3359 -1.8618
N -5.4095 0.8211 -1.0159
N -4.0830 1.0993 -1.0103
N -3.5204 2.0222 -1.8394
C -2.2436 1.8606 -1.5329
N -2.0401 0.9272 -0.6174
N -3.2350 0.4632 -0.2641
H -5.7140 0.6621 -1.9521
H -5.8940 1.5723 -0.5224
H -1.4237 2.3359 -2.0328
*
```
>>>
End of the data records
This is rev 1 of a true game-changer! The iPad is the device I think Mr. Jobs has always wanted to make. It just took until now for the technology to catch up to his vision of a ubiquitous computing appliance. Something powerful, something easy, something beautiful, something fun. A computing device that is as comfortable on a coffee table as it is on a boardroom table. A device that does 90% of what anyone would want it to do and as easy for my grandmother to use as it is for me. In short, this is a device that will appeal to everyone. People who would never consider sitting on a sofa with a laptop, people that can’t bear dragging out a computer while sitting in coach on an airplane, people that skip a step while making a new recipe because they didn’t want to stop and look up an ingredient list, people that prefer pen and paper to take notes in class because a laptop is too bulky, too distracting or just too inconvenient, people who are intimidated by computers in general plus people like me. You know, geeks. I can’t think of anyone who would not want an iPad, especially at $499!
For us geeks the realization of a truly functional device like the fictitious ones wielded by the Enterprise crew is almost a dream come true. We would buy one just to fulfill our fantasies. For Apple fans, all the iPad needs is the logo. Done deal. For everyone else, the iPad’s potential for practical use and unparalleled convenience will eventually win them over. It may take a while, but sooner or later applications will be written that pull everyone’s particular chain. The possibilities are truly limitless.
For all these reasons I predict iPad sales will make even the astronomical iPhone numbers pale by comparison. Some day we will look back on January 27th, 2010 as the day everyone became part of the technological revolution.